


function valid (){ if [ $? -eq 0 ]; then echo "$var1" ": status : OK" else echo "$var1" ": status : ERROR" fi } function save(){ sed -i "/:@/c connection.url=jdbc:oracle:thin:@$ip:1521:$dataBase" $search var1="adding database ip" valid $var1 sed -i "/connection.username/c connection.username=$name" #$search var1="addning database SID" valid $var1 } save 


 adding database ip : status : OK sed: no input file 

These calculated crystals were left in the article by mistake:
- - -
[1]
Compound: Li4TiV3O8
Source: the Materials Project
Functional: GGA+U
Structure: optimized geometry

The structure in POSCAR format:
```
Li4TiV3O8
1.0
5.154 -3.004 0.000
5.154 3.004 0.000
-3.457 0.000 4.910
Li Ti V O
4 1 3 8
direct
0.000 0.000 0.000 Li
0.000 0.500 0.000 Li
0.500 0.000 0.000 Li
0.500 0.500 0.000 Li
0.000 0.000 0.500 Ti
0.000 0.500 0.500 V
0.500 0.000 0.500 V
0.500 0.500 0.500 V
0.235 0.750 0.730 O
0.237 0.237 0.733 O
0.250 0.250 0.271 O
0.250 0.765 0.270 O
0.750 0.235 0.730 O
0.750 0.750 0.729 O
0.763 0.763 0.267 O
0.765 0.250 0.270 O
```

Calculated values
spin magnetization = 7.00 μB/f.u.
polymorph energy (0 for the lowest one) = 0.00 kcal/mol of atoms
E_form = -2.611 eV per atom
E_tot = -7.097 eV/atom
crystal system = monoclinic
density = 3893 kg/m³


[2]
Compound: Li4Ni5BiO12
Source: the Materials Project
Functional: GGA+U
Structure: optimized geometry

The structure in POSCAR format:
```
Li4Ni5BiO12
1.0
2.596 -4.449 0.000
2.596 4.449 0.000
-0.387 0.000 10.114
Li Ni Bi O
4 5 1 12
direct
0.134 0.675 0.742 Li
0.325 0.866 0.258 Li
0.675 0.134 0.742 Li
0.866 0.325 0.258 Li
0.000 0.000 0.500 Ni
0.166 0.834 0.000 Ni
0.336 0.664 0.500 Ni
0.664 0.336 0.500 Ni
0.834 0.166 0.000 Ni
0.500 0.500 0.000 Bi
0.015 0.658 0.398 O
0.141 0.141 0.895 O
0.169 0.528 0.114 O
0.322 0.322 0.410 O
0.342 0.985 0.602 O
0.472 0.831 0.886 O
0.528 0.169 0.114 O
0.658 0.015 0.398 O
0.678 0.678 0.590 O
0.831 0.472 0.886 O
0.859 0.859 0.105 O
0.985 0.342 0.602 O
```

Calculated values
spin magnetization = 7.00 μB/f.u.
E_form = -1.323 eV per atom
E_tot = -4.907 eV/atom
crystal system = monoclinic
density = 5134 kg/m³


[3]
Compound: NbCo3O8
Source: the Materials Project
Functional: GGA+U
Structure: optimized geometry

The structure in POSCAR format:
```
NbCo3O8
1.0
5.728 0.000 0.000
-2.847 5.012 0.000
-0.063 -0.377 9.268
Nb Co O
2 6 16
direct
0.000 0.000 0.000 Nb
0.351 0.687 0.491 Nb
0.000 0.486 0.778 Co
0.334 0.162 0.280 Co
0.493 0.984 0.780 Co
0.498 0.491 0.778 Co
0.839 0.162 0.281 Co
0.840 0.669 0.281 Co
0.014 0.006 0.383 O
0.146 0.838 0.170 O
0.151 0.287 0.167 O
0.196 0.814 0.659 O
0.201 0.366 0.660 O
0.326 0.139 0.900 O
0.360 0.680 0.883 O
0.510 0.009 0.390 O
0.514 0.500 0.391 O
0.634 0.824 0.655 O
0.642 0.299 0.686 O
0.661 0.321 0.184 O
0.705 0.839 0.168 O
0.823 0.648 0.893 O
0.825 0.151 0.896 O
0.999 0.502 0.394 O
```

Calculated values
spin magnetization = 2.00 μB/f.u.
polymorph energy (0 for the lowest one) = 0.72 kcal/mol of atoms
E_form = -1.583 eV per atom
E_tot = -6.633 eV/atom
crystal system = triclinic
density = 4964 kg/m³


[4]
Compound: LiMn3Al2H6O12
Source: the Materials Project
Functional: GGA+U
Structure: optimized geometry

The structure in POSCAR format:
```
LiMn3Al2H6O12
1.0
5.852 0.000 0.000
1.473 7.590 0.000
2.897 3.349 9.557
Li Mn Al H O
2 6 4 12 24
direct
0.158 0.345 0.001 Li
0.842 0.655 0.999 Li
0.083 0.667 0.499 Mn
0.250 0.001 0.499 Mn
0.416 0.333 0.502 Mn
0.584 0.667 0.498 Mn
0.750 0.999 0.501 Mn
0.917 0.333 0.501 Mn
- - -


 adding database ip : status : OK sed: no input file : status : ERROR" 


 adding database ip : status : OK addning database SID : status : ERROR" 

(The piece is interrupted by records of crystals)
┌──
# 1
The following is a GGA+U calculation of a relaxed structure of Na2TlCoF6, from the Materials Project.

Lattice parameters (Å, degrees): 6.1955 6.1954 6.1955 60.00 60.00 60.00
Positions (direct):
Na1 0.2500 0.2500 0.2500
Na2 0.7500 0.7500 0.7500
Tl1 0.5000 0.5000 0.5000
Co1 0.0000 0.0000 0.0000
F1 0.2137 0.7863 0.2137
F2 0.7863 0.7863 0.2137
F3 0.7863 0.2137 0.7863
F4 0.7863 0.2137 0.2137
F5 0.2137 0.7863 0.7863
F6 0.2137 0.2137 0.7863

Output
Space-group type: No. 225


# 2
The following is a GGA+U calculation of a relaxed structure of NaMn2Si3BH2O11, from the Materials Project.

Lattice parameters (Å, degrees): 6.9212 7.6355 9.0210 100.29 102.32 102.71
Positions (direct):
Na1 0.1126 0.3513 0.1852
Na2 0.8874 0.6487 0.8148
Mn1 0.8707 0.1245 0.3903
Mn2 0.1293 0.8755 0.6097
Mn3 0.3810 0.1305 0.4016
Mn4 0.6190 0.8695 0.5984
Si1 0.2689 0.4716 0.6171
Si2 0.7311 0.5284 0.3829
Si3 0.5384 0.2568 0.7839
Si4 0.4616 0.7432 0.2161
Si5 0.9826 0.2589 0.7726
Si6 0.0174 0.7411 0.2274
B1 0.2781 0.1270 0.9668
B2 0.7219 0.8730 0.0332
H1 0.7028 0.1373 0.0836
H2 0.2972 0.8627 0.9164
H3 0.4526 0.2379 0.1827
H4 0.5474 0.7621 0.8173
O1 0.5596 0.9221 0.3642
O2 0.4404 0.0779 0.6358
O3 0.1873 0.3145 0.4524
O4 0.8127 0.6855 0.5476
O5 0.4775 0.2142 0.9404
O6 0.5225 0.7858 0.0596
O7 0.9139 0.0778 0.6278
O8 0.0861 0.9222 0.3722
O9 0.1263 0.2278 0.9265
O10 0.8737 0.7722 0.0735
O11 0.6734 0.3146 0.3957
O12 0.3266 0.6854 0.6043
O13 0.0921 0.4441 0.7180
O14 0.9079 0.5559 0.2820
O15 0.7913 0.3210 0.8287
O16 0.2087 0.6790 0.1713
O17 0.4755 0.4378 0.7308
O18 0.5245 0.5622 0.2692
O19 0.8034 0.0716 0.1245
O20 0.1966 0.9284 0.8755
O21 0.3216 0.1418 0.1396
O22 0.6784 0.8582 0.8604

Output
Space-group type: No. 2


# 3
The following is a GGA+U calculation of a relaxed structure of V3FeCo2P6O24, from the Materials Project.

Lattice parameters (Å, degrees): 8.5061 8.5061 8.5061 60.95 60.95 60.95
Positions (direct):
V1 0.6431 0.6431 0.6431
V2 0.8573 0.8573 0.8573
V3 0.3577 0.3577 0.3577
Fe1 0.1442 0.1442 0.1442
Co1 0.0010 0.0010 0.0010
Co2 0.5002 0.5002 0.5002
P1 0.9560 0.2492 0.5441
P2 0.5441 0.9560 0.2492
P3 0.2492 0.5441 0.9560
P4 0.7507 0.4576 0.0422
P5 0.4576 0.0422 0.7507
P6 0.0422 0.7507 0.4576
O1 0.5103 0.1144 0.3075
O2 0.3075 0.5103 0.1144
O3 0.1144 0.3075 0.5103
O4 0.9357 0.0861 0.7428
O5 0.9883 0.1901 0.3858
O6 0.7571 0.4123 0.5652
O7 0.7428 0.9357 0.0861
O8 0.5652 0.7571 0.4123
O9 0.8173 0.6182 0.9982
O10 0.4123 0.5652 0.7571
O11 0.9112 0.2627 0.0507
O12 0.6182 0.9982 0.8173
O13 0.3858 0.9883 0.1901
O14 0.0861 0.7428 0.9357
O15 0.5914 0.4478 0.2375
O16 0.1901 0.3858 0.9883
O17 0.4478 0.2375 0.5914
O18 0.2627 0.0507 0.9112
O19 0.2375 0.5914 0.4478
O20 0.9982 0.8173 0.6182
O21 0.0507 0.9112 0.2627
O22 0.8827 0.6813 0.5025
O23 0.6813 0.5025 0.8827
O24 0.5025 0.8827 0.6813

Output
Space-group type: No. 146


M_tot, record by record: 0.00 0.50 0.40 μB per atom
ΔH_f (0 K), record by record: -2.307 -2.612 -2.410 eV per atom
V, record by record: 16.8 11.0 12.3 A^3/atom
└──

我一直在努力,但它不适合我。 🙁

Unrelated to this entry: records of crystals >
- - -
1.
A plane-wave DFT calculation with PBE was carried out for a relaxed Tb2AlCo2 crystal.

Unit cell a=4.026 b=5.421 c=5.421 alpha=60.78 beta=68.21 gamma=68.21
Atoms (fractional coordinates):
Al 0.000 0.000 0.000
Co 0.500 0.277 0.723
Co 0.500 0.723 0.277
Tb 0.797 0.703 0.703
Tb 0.203 0.297 0.297

Total energy in eV/atom: -5.82

2.
A plane-wave DFT calculation with PBE was carried out for a relaxed BaH2CSNClO crystal.

Unit cell a=4.820 b=5.918 c=20.418 alpha=90.00 beta=90.00 gamma=90.00
Atoms (fractional coordinates):
Ba 0.750 0.738 0.583
Ba 0.250 0.262 0.417
Ba 0.250 0.762 0.083
Ba 0.750 0.238 0.917
C 0.750 0.695 0.356
C 0.250 0.805 0.856
C 0.750 0.195 0.144
C 0.250 0.305 0.644
O 0.250 0.854 0.216
O 0.750 0.146 0.784
O 0.250 0.354 0.284
O 0.750 0.646 0.716
S 0.750 0.958 0.331
S 0.250 0.042 0.669
S 0.250 0.542 0.831
S 0.750 0.458 0.169
N 0.750 0.503 0.372
N 0.750 0.003 0.128
N 0.250 0.497 0.628
N 0.250 0.997 0.872
Cl 0.250 0.262 0.021
Cl 0.750 0.238 0.521
Cl 0.250 0.762 0.479
Cl 0.750 0.738 0.979
H 0.088 0.388 0.257
H 0.412 0.888 0.243
H 0.412 0.388 0.257
H 0.588 0.612 0.743
H 0.588 0.112 0.757
H 0.088 0.888 0.243
H 0.912 0.112 0.757
H 0.912 0.612 0.743

Total energy in eV/atom: -5.72

3.
A plane-wave DFT calculation with PBE was carried out for a relaxed Cd3As2O8 crystal.

Unit cell a=12.341 b=6.731 c=9.485 alpha=81.85 beta=90.00 gamma=90.00
Atoms (fractional coordinates):
Cd 0.616 0.654 0.944
Cd 0.693 0.372 0.358
Cd 0.425 0.833 0.279
Cd 0.884 0.154 0.944
Cd 0.384 0.346 0.056
Cd 0.116 0.846 0.056
Cd 0.075 0.333 0.279
Cd 0.193 0.128 0.642
Cd 0.807 0.872 0.358
Cd 0.575 0.167 0.721
Cd 0.307 0.628 0.642
Cd 0.925 0.667 0.721
O 0.795 0.603 0.925
O 0.130 0.635 0.293
O 0.064 0.610 0.882
O 0.769 0.626 0.217
O 0.436 0.110 0.882
O 0.540 0.253 0.471
O 0.231 0.374 0.783
O 0.066 0.168 0.921
O 0.295 0.897 0.075
O 0.960 0.753 0.471
O 0.079 0.017 0.265
O 0.936 0.390 0.118
O 0.421 0.517 0.265
O 0.579 0.483 0.735
O 0.180 0.841 0.525
O 0.705 0.103 0.925
O 0.434 0.668 0.921
O 0.731 0.126 0.217
O 0.205 0.397 0.075
O 0.269 0.874 0.783
O 0.370 0.135 0.293
O 0.630 0.865 0.707
O 0.320 0.341 0.525
O 0.566 0.332 0.079
O 0.680 0.659 0.475
O 0.870 0.365 0.707
O 0.460 0.747 0.529
O 0.820 0.159 0.475
O 0.921 0.983 0.735
O 0.934 0.832 0.079
O 0.040 0.247 0.529
O 0.564 0.890 0.118
As 0.914 0.189 0.605
As 0.586 0.689 0.605
As 0.637 0.110 0.083
As 0.414 0.311 0.395
As 0.863 0.610 0.083
As 0.363 0.890 0.917
As 0.086 0.811 0.395
As 0.137 0.390 0.917

Total energy in eV/atom: -5.22

Number 3 is which compound? Cd3As2O8

----------

Density functional theory data (PBE-GGA) for an optimized crystal structure of K3Bi2I9.

Lattice parameters (Å, degrees): 8.4348 8.4348 21.7657 93.85 93.85 119.31
Fractional positions:
K 0.0131 0.9869 0.7500
K 0.3065 0.6565 0.0572
K 0.3435 0.6935 0.4428
K 0.6565 0.3065 0.5572
K 0.6935 0.3435 0.9428
K 0.9869 0.0131 0.2500
Bi 0.3017 0.6322 0.8431
Bi 0.3678 0.6983 0.6569
Bi 0.6322 0.3017 0.3431
Bi 0.6983 0.3678 0.1569
I 0.0079 0.4960 0.2797
- - -


 # run sed, capture any output var1="$(sed -i "/connection.username/c connection.username=$name" $search)" 


 # run sed, discard all output but keep exit status sed -i "/connection.username/c connection.username=$name" $search >/dev/null 2>&1 

也就是说, valid()是……奇怪,至少可以说。 我会把它写成

 # valid label [status] # check status ($? if not provided) and log success/failure function valid { if [[ ${2-$?} == 0 ]]; then echo "$1 : status : OK" else echo "$1 : status : ERROR" fi } 


 # log label command [arguments...] # run command, output success/failure to stderr. If label is empty, use the # command name: 'log "" echo hi' uses 'echo' as the label. # log entries look like # label1 : status : OK # label2 : status : ERROR # Error output from foo: # Baz is broken; fix and try again. log() { # save off label local label="${1:-$2}" shift # this removes $1 and shifts $2... to $1... so "$@" works later # run command, capture output # $(command) runs 'command' and substitutes its output # "$@" preserves quoting; $* would turn argument "foo bar" into two # arguments foo bar err="$("$@")" if [[ $? == 0 ]]; then status=OK else status=ERROR fi echo "$label : status : $status" >&2 # standard error if [[ $status == ERROR ]]; then # log output from command, indented for clarity echo "Error output from $2:" echo "$err" | sed 's/^/ /' >&2 fi } save() { # this sed command is pedantically correct; if GNU sed lets you # do single-line 'c' commands as in the original, then go for it. # The backslash-return after the label argument is just for clarity; # 'log "foo" bar' works just as well. log "adding database ip" \ sed -i "/:@/c\\ connection.url=jdbc:oracle:thin:@$ip:1521:$dataBase\\ ." "$search" # using the original (GNU?) sed syntax log "adding database SID" \ sed -i "/connection.username/c connection.username=$name" "$search" } save 


您可能应该浏览Advanced Bash Scripting Guide以了解有关编写shell脚本的更多信息。 UNIX编程环境的shell编程章节不涉及原始Bourne shell的bash扩展,但仍然有助于学习shell脚本的“禅”。